5 Excel NON-Keyboard Shortcuts You Wish You’d Learned Sooner

Did you know that the Excel application has been around since 1985? As an almost 40 year old program, Excel has added not only calculation tools and functionality over the years, it has also invested in solid user experience and quality-of-life useability improvements.
To that end, there are many (non-keyboard) “shortcuts” savvy users will employ to save clicks and save time. Here’s a list of several, from familiar to maybe some you’ve not seen before.
Quick Access Toolbar
Unrelated to this article: materials data =
........
Starting from a DFT-relaxed cell (PBE, OQMD), the powder X-ray diffraction pattern of HfAsW2 was calculated for Cu Kα.
Lines closer than 0.1° are merged.

Peak list (10 most intense, 10 to 90 degrees two-theta, sorted by position)
2theta  d_spacing  intensity  hkl
23.72  3.751  7  1 1 1
27.46  3.248  3  2 0 0
39.22  2.297  100  2 2 0
46.36  1.959  4  3 1 1
56.68  1.624  17  4 0 0
62.30  1.490  2  3 3 1
64.11  1.453  1  4 2 0
71.09  1.326  35  4 2 2
84.34  1.148  11  4 4 0
89.19  1.098  1  5 3 1

Cell and atoms:
Cell: 6.496 6.496 6.496 Å, 90.00 90.00 90.00°
Sites, in units of the cell vectors:
Hf: 0.000 0.000 0.000
Hf: 0.000 0.500 0.500
Hf: 0.500 0.000 0.500
Hf: 0.500 0.500 0.000
As: 0.250 0.250 0.750
As: 0.250 0.750 0.250
As: 0.750 0.250 0.250
As: 0.750 0.750 0.750
W: 0.000 0.000 0.500
W: 0.000 0.500 0.000
W: 0.250 0.250 0.250
W: 0.250 0.750 0.750
W: 0.500 0.000 0.000
W: 0.500 0.500 0.500
W: 0.750 0.250 0.750
W: 0.750 0.750 0.250
........
The Quick Access Toolbar (QAT) sits at the top of your Excel window. With a little customization, you can add almost any command and have its icon available to you from anywhere in the workbook. This is especially helpful if you frequently use a command that’s buried in the ribbon. To customize the QAT, click the arrow at the end of the toolbar and select ‘More Commands.’
Command Search
When you want to do something new, or just can’t remember where a command is without clicking on every tab, the search bar at the top of your Excel window is your friend. Type the name of a command, or a keyword that can help you find it.
In this example, we’ve typed “split cells”, and Excel has included the command “Unmerge Cells” in the options, getting us to an answer without using the exact name. Simply click on the suggestion to execute the command or open the correct dialog. There is also a search box at the top of the right-click menu.
This can save you a lot of time digging through tabs.
Right-Click Menus
And speaking of right-click menus! The right-click options in Excel are contextual and designed to anticipate your most frequent tasks.
This may fall into the category of “obvious”, but if you are a new Excel user, it is likely that you were taught mostly by working through the ribbon. This makes sense, as the ribbon offers you the most variety of options and learning the ribbon is very important for new users. Once you are comfortable with how Excel is organized, begin exploring the right-click menus.
Though they are not customizable, Excel has included many useful commands there, connecting you to common tasks without having to click the ribbon.
Even if you frequently use the most popular right-click options, take a second to pause and read through the whole menu now and then. You may be surprised by the options you find! Such as a search box, for example. Also, did you know that you can create a new comment, or initiate a simple sort right from the right-click menu?
Auto Fill & Flash Fill
Most of us learn quickly how to drag the fill handle across cells to copy content or formulas. This is a time saver all on its own! But the Auto Fill tool can do more than just copy:
- It can fill sequences, such as dates, months, years, etc., and even fill by non-linear sequences such as 10s, 100s, or “every other day”.
........
[1]
Starting from a cell relaxed with PBE, the X-ray diffraction stick pattern of YV2Fe5Co5 was computed for Cu Kα (weighted mean of Kα1 and Kα2).

Top 10 peaks for 5° ≤ 2θ ≤ 70°, by intensity:
2θ/deg, d_spacing, Rel. int.
43.25, 2.092, 100
44.29, 2.045, 72
49.54, 1.840, 51
42.81, 2.112, 38
42.99, 2.104, 32
30.45, 2.935, 21
37.27, 2.413, 19
37.38, 2.406, 18
38.50, 2.338, 16
48.33, 1.883, 13

Structural model:
Unit cell a=6.405 b=6.405 c=6.405 alpha=137.17 beta=97.85 gamma=97.47
Atoms (fractional coordinates):
Y  0.000  0.000  0.000
V  0.360  0.360  0.000
V  0.644  0.644  0.000
Fe  0.000  0.002  0.499
Fe  0.000  0.501  0.998
Fe  0.227  0.727  0.500
Fe  0.503  0.002  0.002
Fe  0.503  0.501  0.501
Co  0.228  0.502  0.726
Co  0.359  0.000  0.359
Co  0.642  0.000  0.641
Co  0.776  0.502  0.274
Co  0.777  0.277  0.500


[2]
Starting from a cell relaxed with PBE, the X-ray diffraction stick pattern of BaCdSn was computed for Cu Kα (weighted mean of Kα1 and Kα2).

Top 10 peaks for 5° ≤ 2θ ≤ 70°, by intensity:
2θ/deg, d_spacing, Rel. int.
28.76, 3.104, 100
35.11, 2.556, 66
28.46, 3.136, 47
33.96, 2.640, 46
29.21, 3.058, 35
33.09, 2.707, 34
55.74, 1.649, 26
48.15, 1.890, 24
45.39, 1.998, 21
60.80, 1.523, 18

Structural model:
Unit cell a=6.661 b=6.661 c=8.538 alpha=129.84 beta=129.84 gamma=46.69
Atoms (fractional coordinates):
Ba  0.043  0.043  0.293
Ba  0.957  0.957  0.707
Cd  0.340  0.340  0.277
Cd  0.660  0.660  0.723
Sn  0.339  0.339  0.898
Sn  0.661  0.661  0.102


[3]
Starting from a cell relaxed with PBE, the X-ray diffraction stick pattern of LiBeB was computed for Cu Kα (weighted mean of Kα1 and Kα2).

Top 10 peaks for 5° ≤ 2θ ≤ 70°, by intensity:
2θ/deg, d_spacing, Rel. int.
15.74, 5.629, 100
44.11, 2.053, 13
43.38, 2.086, 6
63.78, 1.459, 6
31.79, 2.815, 5
64.35, 1.448, 5
61.83, 1.501, 4
40.60, 2.222, 4
26.97, 3.306, 4
59.08, 1.564, 4

Structural model:
Unit cell a=3.706 b=3.001 c=5.694 alpha=90.00 beta=98.62 gamma=90.00
Atoms (fractional coordinates):
Li  0.227  0.250  0.342
Li  0.773  0.750  0.658
Be  0.353  0.250  0.888
Be  0.647  0.750  0.112
B  0.118  0.750  0.026
B  0.882  0.250  0.974


Record 1
Computed PXRD pattern of Ba2HoCu3O7 for Cu Kα, from a PBE-relaxed structure.

Most intense lines, 10 to 90 degrees two-theta, in order of rising 2θ:
Position (°2θ)	I_rel
32.2	91
32.6	100
32.7	94
40.1	30
46.0	18
46.4	28
47.4	26
57.6	36
57.8	38
58.5	33

```
data_Ba2HoCu3O7
_cell_length_a 3.8340
_cell_length_b 3.9136
_cell_length_c 11.8283
_cell_angle_alpha 90.00
_cell_angle_beta 90.00
_cell_angle_gamma 90.00
_symmetry_space_group_name_H-M 'P m m m'
_symmetry_Int_Tables_number 47
loop_
_symmetry_equiv_pos_as_xyz
'x,y,z'
'-x,-y,-z'
'-x,-y,z'
'x,y,-z'
'x,-y,-z'
'-x,y,z'
'-x,y,-z'
'x,-y,z'
loop_
_atom_site_label
_atom_site_fract_x
_atom_site_fract_y
_atom_site_fract_z
Ba1 0.0000 0.0000 0.1810
Ho1 0.0000 0.0000 0.5000
Cu1 0.5000 0.5000 0.0000
Cu2 0.5000 0.5000 0.3541
O1 0.0000 0.5000 0.3813
O2 0.5000 0.0000 0.0000
O3 0.5000 0.0000 0.3799
........
- You can drag and copy cell formatting to quickly apply a format to a whole row or column.
- You can create custom AutoFill series, such as a list of store locations or members of a group. In our example, we’ve created an AutoFill series of company titles.
Learn More! Create a Custom AutoFill Series in Excel
5 Excel Data Entry Tips and Tricks You’ll Wish You’d Learned Earlier
Flash Fill takes this to the next level by allowing you to enter rows and columns based on other rows and columns. You might want to create a “Full Name” column, for example, based on other columns that just contain the “first name”, just the “last name”, and so on.
All you have to do is enter the completed result in in the first cell or two and then Excel will offer you a fill result based on that pattern. To accept the fill, just hit Enter.
Quick Analysis & Analyze Data
Quick Analysis tool is your go-to for rapid application of on-the-spot analysis directly from your worksheet. To access the Quick Analysis tool, select a range of data, then click the button that appears in the bottom right corner of the selection. From the dialog window you can choose from Formatting suggestions, Chart & Table suggestions, computation suggestions and even add sparklines. In addition to the most common tools, Excel will recommend charts that specifically fit your data on the Charts tab, or a specific PivotTable layout on the Tables tab. Hover over any of the options to see a preview on your worksheet.
• Misplaced data records:
<<<
1.
Structure and computed X-ray diffraction stick pattern of ScV2O2 (a structure optimized by DFT (GGA+U); Cu Kα).
Peak positions follow from Bragg's law for the DFT cell and can differ from measured ones.

Principal peaks in the range 2θ = 5–70°, sorted by position:
| 2θ (°) | I/Imax |
| --- | --- |
| 24.2 | 19 |
| 30.1 | 48 |
| 31.2 | 100 |
| 37.5 | 20 |
| 44.7 | 26 |
| 48.8 | 14 |
| 49.5 | 36 |
| 51.4 | 12 |
| 54.8 | 14 |
| 63.8 | 13 |

Structural model:
a b c (Å): 7.476 7.476 7.476
angles (deg): 114.28 114.28 100.24
Fractional coordinates of all 20 atoms:
Sc 0.000 0.000 0.000
Sc 0.000 0.000 0.500
Sc 0.000 0.500 0.000
Sc 0.500 0.000 0.500
V 0.175 0.636 0.539
V 0.364 0.402 0.539
V 0.364 0.825 0.961
V 0.402 0.364 0.039
V 0.598 0.636 0.961
V 0.636 0.175 0.039
V 0.636 0.598 0.461
V 0.825 0.364 0.461
O 0.123 0.216 0.907
O 0.191 0.784 0.407
O 0.216 0.123 0.407
O 0.216 0.809 0.093
O 0.784 0.191 0.907
O 0.784 0.877 0.593
O 0.809 0.216 0.593
O 0.877 0.784 0.093

=====

2.
Structure and computed X-ray diffraction stick pattern of ScVO3 (a structure optimized by DFT (GGA+U); Cu Kα).
Peak positions follow from Bragg's law for the DFT cell and can differ from measured ones.

Principal peaks in the range 2θ = 5–70°, sorted by position:
| 2θ (°) | I/Imax |
| --- | --- |
| 33.2 | 18 |
| 33.3 | 100 |
| 35.1 | 16 |
| 46.5 | 15 |
| 49.1 | 22 |
| 55.4 | 9 |
| 58.3 | 13 |
| 59.3 | 14 |
| 59.6 | 12 |
| 61.9 | 25 |

Structural model:
a b c (Å): 5.403 7.817 5.109
angles (deg): 90.00 90.00 90.00
Fractional coordinates of all 20 atoms:
Sc 0.061 0.250 0.019
Sc 0.439 0.750 0.519
Sc 0.561 0.250 0.481
Sc 0.939 0.750 0.981
V 0.000 0.000 0.500
V 0.000 0.500 0.500
V 0.500 0.000 0.000
V 0.500 0.500 0.000
O 0.074 0.750 0.355
O 0.192 0.575 0.816
O 0.192 0.925 0.816
O 0.308 0.075 0.316
O 0.308 0.425 0.316
O 0.426 0.250 0.855
O 0.574 0.750 0.145
O 0.692 0.575 0.684
O 0.692 0.925 0.684
O 0.808 0.075 0.184
O 0.808 0.425 0.184
O 0.926 0.250 0.645

=====

3.
Structure and computed X-ray diffraction stick pattern of ScVO2 (a structure optimized by DFT (GGA+U); Cu Kα).
Peak positions follow from Bragg's law for the DFT cell and can differ from measured ones.

Principal peaks in the range 2θ = 5–70°, sorted by position:
| 2θ (°) | I/Imax |
| --- | --- |
| 28.8 | 10 |
| 33.0 | 70 |
| 34.2 | 100 |
| 41.9 | 5 |
| 42.7 | 91 |
| 44.3 | 2 |
| 55.0 | 55 |
| 59.6 | 39 |
| 62.0 | 25 |
| 69.1 | 3 |

Structural model:
a b c (Å): 6.891 6.891 6.891
angles (deg): 128.49 128.49 75.83
Fractional coordinates of all 16 atoms:
Sc 0.000 0.000 0.000
Sc 0.000 0.000 0.500
Sc 0.000 0.500 0.000
Sc 0.500 0.000 0.500
V 0.000 0.500 0.500
V 0.500 0.000 0.000
V 0.500 0.500 0.000
V 0.500 0.500 0.500
O 0.202 0.207 0.505
O 0.202 0.697 0.995
O 0.207 0.202 0.005
O 0.303 0.798 0.505
O 0.697 0.202 0.495
O 0.793 0.798 0.995
O 0.798 0.303 0.005
O 0.798 0.793 0.495

=====

4.
Structure and computed X-ray diffraction stick pattern of ThV2SeO9 (a structure optimized by DFT (GGA+U); Cu Kα).
>>>
See Also: How to Create PivotTables Using the Quick Analysis Tool in Excel
Learn More: Use Sparklines to Display Trends in Excel
Microsoft Excel Charts and Graphs Made Easy
If you are working with clean, tabular data, the Analyze Data button lets Excel recommend several different ways to view and understand your information. Click the Analyze Data command on the Home tab to open a pane with high-level summaries, trends, and patterns.
In our table that reports on utility bills throughout one year, the Analyze Data pane creates a PivotTable of the “Amount by Payee”, it prepares a bar chart and notices that the EVERGY Payments total is significantly higher than the other payees. Other insights are included and you can then apply any of the examples to your workbook by clicking the +Insert buttons.
At the top of the Analyze Data pane is a text field that allows you to type in a natural language question about your data. Excel offers you suggestions for questions you might ask, or you can type in a description of the analysis you would like.
We asked Excel to show us the total amount of utility expenses per month and it produced a PivotChart showing the total of “Amount” by year and month of the “Date” column. Exactly what we wanted without going through the PivotTable dialogs.
In the current version of Excel 365 (October, 2023) the natural language ability of this tool is quite limited. However, Microsoft is promising integration with its Generative AI technology in the Fall of 2023 that, if lived up to, will greatly increase the capabilities of Excel’s natural language interactions.
What are your favorite non-keyboard Excel shortcuts?